Facial carboxytherapy: price, types, reviews

Facial carboxytherapy: price, types, reviews
Facial carboxytherapy: price, types, reviews

What is facial carboxytherapy, what is the price of the procedure? Features of the use of carbon dioxide, its benefits, contraindications and possible complications. Order of execution, results and feedback.

Carboxytherapy for the face is one of the most effective and safest procedures for facial rejuvenation. It resembles mesotherapy in many ways, but it is a completely independent technique. The use of carbon dioxide in cosmetology allows not only to rejuvenate the skin, but also to slow down its aging.

Facial carboxytherapy price

The cost of the procedure is based on the amount of carbon dioxide used. CO consumption2 depends on the number of skin folds, the more they need to be smoothed, the higher the price will be. Rejuvenation in the eye area will be cheaper, and most expensive is the elimination of wrinkles over the entire surface of the face along with the neck.

Cosmetologist services are often not paid separately, but are included in the general price list.

The minimum price of carboxytherapy for the face in Russia for 1 session is 2500 rubles

Facial carboxytherapy price, rub.
Eyelids 2500-3000
Face 5000-6000
Face + neck 7000-8000

In Ukraine, you can perform facial carboxytherapy for at least 1000 hryvnia

Facial carboxytherapy Price, UAH.
Eyelids 1000-1500
Face 2000-2500
Face + neck 3000-4000

The price in the tables is for 1 session, but in some cosmetology clinics it can be indicated for 1 injection. Therefore, only a doctor will help to form an accurate budget, having calculated the required number of injections in advance.

Since one visit to the clinic may not be enough to solve the problems of aging in the body, the above amounts should be multiplied by the number of sessions.

Description of the procedure "carboxytherapy of the face"

Facial carboxytherapy procedure
Facial carboxytherapy procedure

This is a modern cosmetic procedure for rejuvenating the skin of the face, the essence of which is the introduction of a small volume of special carbon dioxide into the epidermis. For this purpose, purified carbon dioxide or carbon dioxide of a transparent color, practically odorless, with a high density (formula CO2).

The principle of the technique is to artificially create hypoxia in tissues and cells - that is, a lack of oxygen, which develops with a large amount of carbon dioxide in the body. In this case, he experiences stress, which triggers self-healing processes.

When the level of CO in the body rises2 blood vessels expand, blood flow improves, collagen is produced faster, which helps to tighten the skin and eliminate various cosmetic defects - acne, acne, blackheads, etc.

There are two types of carboxytherapy. One of them - non-invasive, and it does not require injections, special masks with carbon dioxide in the composition are used here. This option is ideal for those who are afraid of injections.

The second way is injectable, it implies the introduction of CO2 into the shallow layers of the skin with a syringe. It has a very thin sterile needle, small diameter and is not suitable for those with too sensitive epidermis.

Important! Within the framework of one course, the injection method and non-invasive carboxytherapy for the face can be successfully combined. The latter can even be used independently at home.

These data records were left in the text by mistake =
~~~
## TeRu2Pt (PBE-GGA)

Data for TeRu2Pt after structural relaxation.

Properties
Its formation energy (no corrections) is 0.42 eV/atom. The calculated total energy comes out at -6.518 eV per atom.

Unit cell a=3.1051 b=4.6170 c=9.2267 alpha=90.00 beta=90.00 gamma=90.00
With the nearest neighbours (Å) after each atom.
Space group Immm (No. 71)
Unique sites:
1 Te 0.0000 0.0000 0.0000 (multiplicity 2)  4 Ru 2.60, 4 Pt 2.78
2 Ru 0.0000 0.5000 0.2736 (multiplicity 4)  2 Te 2.60, 4 Ru 2.82
3 Pt 0.0000 0.0000 0.5000 (multiplicity 2)  4 Te 2.78, 8 Ru 2.96-3.11, 2 Pt 3.11

----------

1.
The following is a GGA-PBE calculation of a geometry-optimized CrAg2Rh structure, from Alexandria via LeMat-Bulk.

Results
Electronic total energy = -5.372 eV per atom
Offset from the most stable computed form = 129 meV per atom

```
data_CrAg2Rh
_space_group_name_H-M_alt 'C 1 2/m 1'
_space_group_IT_number 12
_cell_length_a 9.682
_cell_length_b 2.897
_cell_length_c 4.706
_cell_angle_alpha 90.00
_cell_angle_beta 101.45
_cell_angle_gamma 90.00
loop_
_space_group_symop_operation_xyz
'x,y,z'
'-x,-y,-z'
'-x,y,-z'
'x,-y,z'
'x+1/2,y+1/2,z'
'-x+1/2,-y+1/2,-z'
'-x+1/2,y+1/2,-z'
'x+1/2,-y+1/2,z'
loop_
_atom_site_label
_atom_site_type_symbol
_atom_site_fract_x
_atom_site_fract_y
_atom_site_fract_z
Cr1 Cr 0.000 0.000 0.000
Ag1 Ag 0.249 0.000 0.749
Rh1 Rh 0.000 0.500 0.500
```

---

2.
The following is a GGA-PBE calculation of a geometry-optimized CrAgRh2 structure, from Alexandria via LeMat-Bulk.

Results
Electronic total energy = -6.463 eV per atom

```
data_CrAgRh2
_space_group_name_H-M_alt 'P m m m'
_space_group_IT_number 47
_cell_length_a 2.908
_cell_length_b 4.522
_cell_length_c 4.639
_cell_angle_alpha 90.00
_cell_angle_beta 90.00
_cell_angle_gamma 90.00
loop_
_space_group_symop_operation_xyz
'x,y,z'
'-x,-y,-z'
'-x,-y,z'
'x,y,-z'
'x,-y,-z'
'-x,y,z'
'-x,y,-z'
'x,-y,z'
loop_
_atom_site_label
_atom_site_type_symbol
_atom_site_fract_x
_atom_site_fract_y
_atom_site_fract_z
Cr1 Cr 0.000 0.000 0.000
Ag1 Ag 0.500 0.000 0.500
Rh1 Rh 0.000 0.500 0.500
Rh2 Rh 0.500 0.500 0.000
```

---

3.
The following is a GGA-PBE calculation of a geometry-optimized CrAg2Rh structure, from Alexandria via LeMat-Bulk.

Results
Electronic total energy = -5.501 eV per atom
Offset from the most stable computed form = 0 meV per atom

```
data_CrAg2Rh
_space_group_name_H-M_alt 'P 4 m m'
_space_group_IT_number 99
_cell_length_a 2.857
_cell_length_b 2.857
_cell_length_c 7.851
_cell_angle_alpha 90.00
_cell_angle_beta 90.00
_cell_angle_gamma 90.00
loop_
_space_group_symop_operation_xyz
'x,y,z'
'-y,x,z'
'-x,-y,z'
'y,-x,z'
'-x,y,z'
'y,x,z'
'x,-y,z'
'-y,-x,z'
loop_
_atom_site_label
_atom_site_type_symbol
_atom_site_fract_x
_atom_site_fract_y
_atom_site_fract_z
Cr1 Cr 0.000 0.000 0.000
Ag1 Ag 0.000 0.000 0.463
Ag2 Ag 0.500 0.500 0.738
Rh1 Rh 0.500 0.500 0.194
```

---

4.
The following is a GGA-PBE calculation of a geometry-optimized CrAg2Rh structure, from Alexandria via LeMat-Bulk.

Results
~~~

How is facial carboxytherapy useful?

Injection carboxytherapy
Injection carboxytherapy

The procedure of carboxytherapy for the face has many effects, but the most striking of them is the rejuvenating one. Basically, this technique is designed to eliminate age and expression wrinkles on the face, especially in the area of the corners of the lips, eyelids, and wings of the nose. Its primary task is to restore elasticity to the skin, thanks to which it will not sag very much even with the aging of the body.

The beneficial properties of facial carboxytherapy are as follows:

  • Collagen production … After several sessions, it is formed in the tissues much faster and in much larger volumes. Thus, a natural frame is created that does not allow them to deform.
  • Destruction of fat cells … Thanks to this, the volume of the cheeks is reduced, the face loses weight and tightens, it looks younger. First of all, this is true for overweight people who want to lose a few pounds.
  • Skin regeneration … This process is triggered by active blood circulation in the tissues, which, receiving the necessary nutrition, recover much faster. They are easier to tolerate the negative effects of the sun, wind, low temperatures, low-quality water and cosmetics.
  • Removal of toxins … Usually they "hide" in the pores, which expand under the influence of carbon dioxide, which greatly facilitates the process of their purification. At the same time, grease and other impurities are removed from the face, an ugly shine disappears, the skin acquires a healthy color and smoothness.

Indications for the use of carbon dioxide are a double chin, fat deposits, acne, scars, acne, spider veins. Its introduction is also useful for dark circles under the eyes, in the case of mild asymmetry of the face, old burns and scars, poor skin turgor and with an unhealthy complexion.

Important! The more often carboxytherapy is performed, the brighter and faster the results will be seen.

Contraindications for facial carboxytherapy

Pregnant woman
Pregnant woman

To eliminate the risk of deteriorating health, you should tell the cosmetologist in advance at the initial appointment about all problems. It is he who makes the decision on admitting the patient to the procedure or refusing it. Unambiguous contraindications are the age under 18 and after 70 years, as well as exacerbation of any chronic diseases.

List of contraindications for facial carboxytherapy:

  • Lactation … The negative effect of carbon dioxide on milk quality has not been scientifically proven. It is only assumed that it can impair its taste and lead to premature abandonment of the baby.
  • Pregnancy … It is not recommended to carry out the procedure at any time during the gestation period. Moreover, this should not be done in the last, third trimester, since there is a risk of premature birth.
  • High blood pressure … Postponing facial carboxytherapy until it normalizes is for those who have it exceeding the mark of 140 per 100 units. In this case, we are already talking about hypertension requiring treatment.
  • Inflammatory processes … Cystitis, pancreatitis, tonsillitis and any other diseases in which the size of any internal organs is increased are contraindications for the procedure. If you ignore this moment, it will be possible to deteriorate health.
  • Kidney and liver dysfunctions … This is due to the fact that during carboxytherapy they have an increased load, since they are forced to remove carbon dioxide from the body. Since their work is impaired, these organs cannot fully do this, which often leads to excessive accumulation of it in the body and an increase in the likelihood of intoxication.

Among other contraindications to carboxytherapy of the face, a recent heart attack and stroke, epilepsy, and pronounced anemia should be especially noted.

How is facial carboxytherapy done?

The procedure is carried out in the conditions of a cosmetology office; hospitalization is not required. In total, it lasts from 15 to 30 minutes, depending on the size of the treated area. Since pain almost never occurs, local anesthesia is rarely required. For those who are interested in how often carboxytherapy of the face can be done, it must be said that it is enough to perform it 2-3 times a year in courses.

Non-invasive facial carboxytherapy

Facial carboxytherapy mask
Facial carboxytherapy mask

Carboxytherapy without injections for the face involves treating the skin with special compounds. Such masks are liquid and fabric, requiring application to the skin. The procedure is absolutely painless.

It can be used in courses of 5-6 times twice or thrice a year. This procedure can be carried out at any time, the main thing is that the skin is pre-cleaned of impurities.

Approximate progress of non-invasive facial carboxytherapy:

  1. Special milk or gel removes fat and make-up residues from the face, if any. To do this, use a cotton pad, which is used to wipe the desired areas.
  2. At this stage, a light exfoliation is carried out using cleansing scrubs, after which the skin is wiped off with a dry cloth.
  3. Then a mask is applied to the face and left for 15-30 minutes.
  4. After the above time has elapsed, the product is carefully removed and its remnants are washed off with warm water.
  5. To close the pores, the skin is rubbed with ice.
  6. At the end, the face is thoroughly wiped with a towel and, if necessary, smeared with a moisturizer.

The procedure is carried out with sterile gloves, a disposable cap and gown are put on the patient. During the entire session, he is in a chair or on a couch with his head raised.

How is injectable facial carboxytherapy performed?

Injection facial carboxytherapy
Injection facial carboxytherapy

Preparation for this procedure looks almost the same as for non-injection carboxytherapy for the face. At the beginning of the session, it requires thorough cleansing of dirt, removal of makeup residues and lubrication with antiseptic compounds to avoid infection. In some cases, anesthesia with a cream may be necessary, which is applied in a thin layer and left until absorbed for 2-3 minutes.

The order of the procedure looks something like this:

  1. Fat and decorative cosmetics are removed from the face by wiping it with a cotton pad dipped in cleansing milk.
  2. The skin is treated with antiseptic solutions necessary to exclude the penetration of infection at the puncture sites.
  3. An anesthetic cream is applied to the skin if it is very sensitive.
  4. Then the face is rubbed with fingers to warm up and improve blood circulation, fill the syringe with gas and do microinjections.
  5. The needle is carefully inserted not very deeply into the tissue, excluding the violation of the integrity of the capillaries, in order to avoid the opening of bleeding.
  6. Then the face is again treated with antiseptics and soothed with a cream.

Note! To consolidate the result, a special serum can be used, for example, CentrellahEGF.

Results of facial carboxytherapy and care rules

Woman's face after carboxytherapy
Woman's face after carboxytherapy

You can see improvements in the condition of the skin after the first visit to the beautician. The most striking effect of facial carboxytherapy becomes noticeable when the full course is completed. It can be observed for 4-6 months, then it is recommended to repeat the procedure to prevent wrinkles and other cosmetic problems.

In some cases, for example, with the low qualifications of the chosen doctor, after injections, bruises, bruises and swelling may appear on the face. The inexperience of a specialist can lead to a puncture of the capillaries, bleeding, redness, itching and irritation of the skin.

After a session of injectable carboxytherapy, it takes 2-3 days for rehabilitation. For 6 hours, it is forbidden to touch the skin with your hands, especially dirty ones, use any cosmetics and wash your face. It is important to refuse to visit the sauna, bathing in hot water and sunbathing for 24 hours. During this period, when redness, swelling and itching appear, it is recommended to apply Panthenol to the face twice a day.

Note! Persons who have chosen non-invasive carboxytherapy do not need rehabilitation, but in the first hours the treated skin cannot be wetted.

Real reviews of facial carboxytherapy

Reviews of facial carboxytherapy
Reviews of facial carboxytherapy

According to reviews about carboxytherapy for the face, this rejuvenation technology is completely safe, extremely effective and has no analogues. Many consider it a kind of mesotherapy, but this is a completely incorrect comparison. Most often they speak about it in a positive way, there are practically no negative opinions.

Nina, 38 years old

Not so long ago I learned about the existence of such a technique and was so impressed by its results that I decided to try it on myself. I turned to one popular clinic in Moscow, which was far from the cheapest, chose an experienced doctor, a man. I took a course of 6 sessions with him with a break for 3 days. He did everything perfectly, there were no complaints of pain. The result is still holding, the wrinkles near the lips and nose are almost completely smoothed out, the skin no longer hangs like an old woman, there were no side effects.

Sofia, 29 years old

Despite my youth, the wrinkles on my face are just darkness. I carried out mesotherapy, and did lifting, all this helped only conditionally, there was nothing much to be happy about. Compared to these methods, this procedure is super effective, it helps the first time, it is completely painless, although I have received more than 20 injections, and most importantly, it gives youth for a long time, at least six months. It has only one drawback - the price is above average. While not all clinics offer it, I had to look for a suitable specialist, and this despite my residence in Moscow.

Angelina, 45 years old

At my age, I didn't expect many fine wrinkles to go away after a few sessions of carboxytherapy. And so it happened, the procedure did not meet my expectations, of course, it helped in some way - the skin tightened slightly, the complexion improved, but I did not find any global changes. They made me masks, I think maybe this is the whole point, that the effect from them is less than from injections, so now I will try injections, perhaps they will be better.

Photos before and after facial carboxytherapy

Before and after carbixitherapy
Before and after carbixitherapy
Before and after facial carbixitherapy
Before and after facial carbixitherapy

How carboxytherapy of the face is done - look at the video:

Comparing photos of women before and after carboxytherapy, the difference is enormous. This procedure is highly effective, but only an experienced doctor, a professional in his field, will help to obtain the desired results and avoid complications.
